-- Work order --
Reproduce every line further below that contains the word "deg".
-- Material --
No. 1
LiCu2Mo: optimized geometry, PBE.

a b c (Å): 9.145 9.145 9.145
angles (deg): 16.73 16.73 16.73
Each line ends with the local moment (μB).
Positions (direct):
Cu 0.996 0.996 0.996  0.01
Cu 0.253 0.253 0.253  0.00
Li 0.505 0.505 0.505  0.00
Mo 0.746 0.746 0.746  0.09

Computed properties:
- volume (Å³/cell) = 55
- formation enthalpy at 0 K (meV/atom) = 247


No. 2
LiCu2Mo: optimized geometry, PBE.

a b c (Å): 5.479 5.479 5.479
angles (deg): 153.17 130.95 56.79
Positions (direct):
Cu 0.989 0.989 0.000
Cu 0.771 0.271 0.500
Li 0.515 0.515 0.000
Mo 0.226 0.726 0.500

Computed properties:
- volume (Å³/cell) = 56
- formation enthalpy at 0 K (meV/atom) = 273


No. 3
LiCu2Mo: optimized geometry, PBE.

a b c (Å): 9.093 9.093 9.093
angles (deg): 16.84 16.84 16.84
Positions (direct):
Cu 0.999 0.999 0.999
Cu 0.501 0.501 0.501
Li 0.250 0.250 0.250
Mo 0.750 0.750 0.750

Computed properties:
- volume (Å³/cell) = 55
- formation enthalpy at 0 K (meV/atom) = 218


No. 4
LiCuMo3: optimized geometry, PBE.

a b c (Å): 4.555 4.555 4.555
angles (deg): 90.00 90.00 90.00
Positions (direct):
Mo 0.000 0.500 0.000
Mo 0.000 0.000 0.500
Mo 0.500 0.000 0.000
Cu 0.000 0.000 0.000
Li 0.500 0.500 0.500

Computed properties:
- volume (Å³/cell) = 95
- formation enthalpy at 0 K (meV/atom) = 1671


No. 5
LiCu2Mo: optimized geometry, PBE.

a b c (Å): 2.614 2.614 7.898
angles (deg): 90.00 90.00 90.33
Positions (direct):
Cu 0.000 0.000 0.006
Cu 0.000 0.000 0.494
Li 0.500 0.500 0.250
Mo 0.500 0.500 0.750

Computed properties:
- volume (Å³/cell) = 54
- formation enthalpy at 0 K (meV/atom) = 133


No. 6
LiCu2Mo: optimized geometry, PBE.

a b c (Å): 4.507 4.507 5.006
angles (deg): 84.00 84.00 32.35
Each line ends with the local moment (μB).
Positions (direct):
Cu 0.998 0.998 0.993  0.02
Cu 0.502 0.502 0.507  0.02
Li 0.750 0.750 0.750  0.00
Mo 0.250 0.250 0.250  0.36

Computed properties:
- volume (Å³/cell) = 54
- formation enthalpy at 0 K (meV/atom) = 357


No. 7
LiCuMo3: optimized geometry, PBE.

a b c (Å): 4.184 4.184 4.184
angles (deg): 90.00 90.00 90.00
Positions (direct):
Mo 0.000 0.500 0.000
Mo 0.000 0.000 0.500
Mo 0.500 0.000 0.000
Cu 0.500 0.500 0.500
Li 0.000 0.000 0.000

Computed properties:
- volume (Å³/cell) = 73
- formation enthalpy at 0 K (meV/atom) = 1343


No. 8
LiCu2Mo: optimized geometry, PBE.

a b c (Å): 2.516 3.935 5.430
angles (deg): 90.00 90.00 90.00
Positions (direct):
Cu 0.000 0.000 0.998
Cu 0.500 0.500 0.264
Li 0.000 0.000 0.466
Mo 0.500 0.500 0.772

Computed properties:
- volume (Å³/cell) = 54
- formation enthalpy at 0 K (meV/atom) = 277


No. 9
LiCu3Mo: optimized geometry, PBE.

a b c (Å): 4.739 4.739 4.739
angles (deg): 90.00 90.00 90.00
Positions (direct):
Mo 0.000 0.000 0.000
Cu 0.000 0.500 0.000
Cu 0.000 0.000 0.500
Cu 0.500 0.000 0.000
Li 0.500 0.500 0.500

Computed properties:
- volume (Å³/cell) = 106
- formation enthalpy at 0 K (meV/atom) = 1202


No. 10
LiCu4Mo: optimized geometry, PBE.

a b c (Å): 4.849 4.849 4.849
angles (deg): 60.00 60.00 60.00
Each line ends with the local moment (μB).
Positions (direct):
Li 0.750 0.750 0.750  0.00
Cu 0.874 0.375 0.375  0.09
Cu 0.375 0.375 0.874  0.09
Cu 0.375 0.874 0.375  0.09
Cu 0.375 0.375 0.375  0.09
Mo 0.000 0.000 0.000  2.00

Computed properties:
- volume (Å³/cell) = 81
- formation enthalpy at 0 K (meV/atom) = 289


No. 11
LiCu2Mo: optimized geometry, PBE.

a b c (Å): 6.577 6.577 5.294
angles (deg): 51.60 51.60 90.00
Positions (direct):
Mo 0.000 0.000 0.000
Mo 0.750 0.250 0.500
Cu 0.597 0.125 0.250
Cu 0.153 0.625 0.250
Cu 0.375 0.403 0.750
Cu 0.875 0.847 0.750
Li 0.500 0.500 0.000
Li 0.250 0.750 0.500

Computed properties:
- volume (Å³/cell) = 109
- formation enthalpy at 0 K (meV/atom) = 740


No. 12
Na2LiCuMo: optimized geometry, PBE.

a b c (Å): 5.292 4.805 5.292
angles (deg): 90.00 90.00 90.00
Each line ends with the local moment (μB).
Positions (direct):
Na 0.000 0.000 0.500  0.00
Na 0.500 0.000 0.000  -0.01
Mo 0.500 0.500 0.500  3.80
Cu 0.000 0.000 0.000  0.03
-- Solution --
angles (deg): 16.73 16.73 16.73
angles (deg): 153.17 130.95 56.79
angles (deg): 16.84 16.84 16.84
angles (deg): 90.00 90.00 90.00
angles (deg): 90.00 90.00 90.33
angles (deg): 84.00 84.00 32.35
angles (deg): 90.00 90.00 90.00
angles (deg): 90.00 90.00 90.00
angles (deg): 90.00 90.00 90.00
angles (deg): 60.00 60.00 60.00
angles (deg): 51.60 51.60 90.00
angles (deg): 90.00 90.00 90.00